(To do)
Find the line further down that holds "0.245 0.500", then retype that line and all lines after it there.

(Source)
____________
The following is a simulated PXRD pattern of ErBH4. It was derived from a structure optimized by DFT (PBE), using Cu Kα.
Intensities are scaled so that the largest is 1000.

a = 4.018 Å, b = 11.817 Å, c = 5.625 Å
α = 90.00°, β = 90.00°, γ = 90.00°
Space group Imm2 (No. 44)
Symmetry-distinct sites (fractional):
Er 0.000 0.000 0.000 [2 per cell]
Er 0.000 0.336 0.991 [4 per cell]
B 0.000 0.000 0.489 [2 per cell]
B 0.000 0.335 0.492 [4 per cell]
H 0.000 0.092 0.359 [4 per cell]
H 0.000 0.242 0.609 [4 per cell]
H 0.000 0.420 0.630 [4 per cell]
H 0.243 0.164 0.862 [8 per cell]
H 0.245 0.500 0.126 [4 per cell]

Principal peaks in the range 10° ≤ 2θ ≤ 90°, in order of falling intensity:
Position (°2θ), I (rel.)
31.81, 1000
27.27, 782
27.65, 758
45.61, 490
53.75, 261
54.38, 251
75.59, 219
56.27, 132
53.96, 128
45.13, 127
54.17, 127
57.09, 125
____________

(Solution)
H 0.245 0.500 0.126 [4 per cell]

Principal peaks in the range 10° ≤ 2θ ≤ 90°, in order of falling intensity:
Position (°2θ), I (rel.)
31.81, 1000
27.27, 782
27.65, 758
45.61, 490
53.75, 261
54.38, 251
75.59, 219
56.27, 132
53.96, 128
45.13, 127
54.17, 127
57.09, 125